Phantom Scroll
Ghosts are not merely the souls of the deceased; they exist beyond the visual realm, inhabiting a liminal space in immaterial form. While exploring the architecture of Taiwan’s streets and alleys, I encountered the spectral remnants of authoritarian rule—images of ghosts shaped by a regime that viewed Taiwan as nothing more than a temporary dwelling. This has transformed the island into a landscape saturated with the markers of consumer culture. Within the built environment and the digital traces of contemporary New Materialist thought, these intangible forces influence the physicality of the younger generation. In their absence from the grand narratives of Taiwan’s authoritarian past, these generations experience an unspoken dislocation, a sense of estrangement.
In the chaotic piles of discarded objects, the ghosts of past authoritarianism and modernity grapple within the living spaces, bound by an inescapable psychological weight. These hauntings offer a moment for deep reflection and critique.
The work employs a collage technique, where the horizontal noise mimics the pixelated obfuscations used to protect privacy in news broadcasts, transforming them into visual elements. The political totems serve as metaphors for the silenced populace, and the residents themselves become dialectical ghosts, hidden within their own history.
These materials data were left in the text by mistake
~~~
No. 1
Diffraction record for CsH6IrPd. The powder XRD pattern is theoretical, not measured: it uses a cell relaxed with PBE and Cu Kα (weighted mean of Kα1 and Kα2).
Intensities are scaled so that the largest is 100.

Most intense lines, 10 to 90 degrees two-theta, by angle:
14.92°, I 22; 25.66°, I 100; 30.10°, I 25; 36.37°, I 44; 45.04°, I 22; 47.90°, I 40; 50.82°, I 15; 59.21°, I 20; 73.68°, I 11; 74.57°, I 11

Structure:
```
CsH6IrPd
1.0
4.9409 0.0000 0.0000
-2.4705 4.2790 0.0000
0.0000 0.0000 5.9387
Cs H Ir Pd
1 6 1 1
Direct
0.0000 0.0000 0.0000
0.3393 0.0137 0.6074
0.3393 0.3256 0.3926
0.6744 0.0137 0.3926
0.6744 0.6607 0.6074
0.9863 0.3256 0.6074
0.9863 0.6607 0.3926
0.6667 0.3333 0.5000
0.3333 0.6667 0.5000
```


No. 2
Diffraction record for CsTlH6Ir. The powder XRD pattern is theoretical, not measured: it uses a cell relaxed with PBE and Cu Kα (weighted mean of Kα1 and Kα2).
Intensities are scaled so that the largest is 100.

Most intense lines, 10 to 90 degrees two-theta, by angle:
14.18°, I 36; 23.90°, I 100; 28.59°, I 27; 33.46°, I 53; 36.51°, I 21; 41.54°, I 23; 44.58°, I 49; 47.90°, I 15; 54.36°, I 21; 67.62°, I 14

Structure:
```
CsTlH6Ir
1.0
5.3555 0.0000 0.0000
-2.6778 4.6380 0.0000
0.0000 0.0000 6.2450
Cs Tl H Ir
1 1 6 1
Direct
0.0000 0.0000 0.0000
0.3333 0.6667 0.5000
0.3967 0.1380 0.6658
0.3967 0.2587 0.3342
0.7413 0.1380 0.3342
0.7413 0.6033 0.6658
0.8620 0.2587 0.6658
0.8620 0.6033 0.3342
0.6667 0.3333 0.5000
```


No. 3
Diffraction record for Cs2TlH6Ir. The powder XRD pattern is theoretical, not measured: it uses a cell relaxed with PBE and Cu Kα (weighted mean of Kα1 and Kα2).
Intensities are scaled so that the largest is 100.

Most intense lines, 10 to 90 degrees two-theta, by angle:
16.37°, I 61; 21.25°, I 44; 28.55°, I 100; 31.83°, I 88; 43.28°, I 39; 50.56°, I 21; 52.67°, I 44; 58.66°, I 15; 68.70°, I 20; 73.92°, I 16

Structure:
```
Cs2TlH6Ir
1.0
6.2531 0.0000 0.0000
-3.1265 5.4153 0.0000
0.0000 0.0000 6.5794
Cs Tl H Ir
2 1 6 1
Direct
0.3333 0.6667 0.3293
0.6667 0.3333 0.6707
0.0000 0.0000 0.0000
0.1282 0.2563 0.6489
0.1282 0.8718 0.6489
0.2563 0.1282 0.3511
0.7437 0.8718 0.6489
0.8718 0.1282 0.3511
0.8718 0.7437 0.3511
0.0000 0.0000 0.5000
```


No. 4
Diffraction record for Cs4K2H. The powder XRD pattern is theoretical, not measured: it uses a cell relaxed with PBE and Cu Kα (weighted mean of Kα1 and Kα2).
Intensities are scaled so that the largest is 100.

Most intense lines, 10 to 90 degrees two-theta, by angle:
13.96°, I 23; 20.44°, I 61; 21.57°, I 21; 23.98°, I 100; 27.18°, I 47; 34.96°, I 25; 38.81°, I 18; 40.09°, I 16; 44.26°, I 15; 46.14°, I 34

Structure:
```
Cs4K2H
1.0
-3.2811 3.2811 12.3569
3.2811 -3.2811 12.3569
3.2811 3.2811 -12.3569
Cs K H
4 2 1
Direct
0.0000 0.5000 0.5000
0.1345 0.1345 0.0000
0.5000 0.0000 0.5000
0.8655 0.8655 0.0000
0.3224 0.3224 0.0000
0.6776 0.6776 0.0000
0.0000 0.0000 0.0000
```


No. 5
~~~
The Other Side
This animation begins with a digital sculpture, engaging in a direct conversation with the audience, to explore the very questions of its own existence. Through an ambiguous and elusive narration, it delves into the ways digital imagery perpetually evolves through repetition. The glitches and distortions of 3D textures become a performance of how, in the absence of traditional photography, the digital realm deceives the human eye.

Island of Pāramitā
This is a multi-channel video art work about the territorial dispute of Senkaku Islands between Taiwan, China and Japan. In this project, I utilized Processing to create a four-channel video with news about the dispute of Senkaku island from those countries. Additionally, I collected the 3D data of the island from those governmental website and displayed them on another three screen. In this work, I attempted to probe into the digital objects and the ideology behind data in our generation.
Finally, I probe into the question of how government and media display their data that reflects their political statement.
The Ninth Immortal
This work is based on the field researching of the Taoyuan Martyrs' Shrine(which of the Torri was demolished by the KMT government) and the abandoned temple, the Yong De Temple(which was also affected by the KMT) and using the photos, 3D objects to recreate the animation.
The old Orient traditional story, “The eight Immortals (Yong De Temple) crossing the sea”, was the main concept to connect the two places. Also, the tittle, “ninth Immortal” refers to confusion of the cultural identity in the modern Taiwanese society caused by the colonizers (The KMT government and the Japanese government). These subtle relationships between these historical truths and objects interacted with each other in the video and recreate a new narrative through the situation of the conflict in the new generations of Taiwan.
《原初點》,以一部影像論文(video essay)/實驗動畫/錄像 為開端,拉出一個聲音、書寫、影像的橫向維度連結,以傳統 三維模擬影像的人物骨架連鎖控制(character rigging)指 涉寫實的電腦模擬影像(CGI)之中,生產敘事前的角色模型 的獻身──將電腦預設的T-pose/bind pose作為與耶蘇 基督的聖十字架圖像嫁接,以及它是如何被三K黨和Z世代 挪用。再來連結影像進入「邪惡」與「虛構」之前的一種受難 前狀態。透過與《創世紀(Genesis)》的互文性,再企圖延伸 出,當代影像之中數位原民的新感覺、新邏輯、新時間是如 再創造、構成?新的事實如何透過後製影像的編修再書寫? 資料、網路匿名性如何形成一種新的鬥爭場域?